........
This entry pairs a crystal structure of Ac2ScWO8 with its computed XRD peak list. Radiation: Cu Ka. Structure: a DFT-relaxed cell (PBE+U, Alexandria).
Intensities are scaled so that the largest is 100.

Structural model:
a = 5.3007 Å, b = 6.9815 Å, c = 5.3010 Å
α = 90.00°, β = 92.14°, γ = 90.00°
Fractional coordinates of all 12 atoms:
Ac 0.0000 0.2503 0.0000
Ac 0.0000 0.7497 0.0000
Sc 0.5000 0.0000 0.5000
W 0.5000 0.5000 0.5000
O 0.2255 0.0000 0.2234
O 0.2393 0.5000 0.2355
O 0.3299 0.2842 0.6676
O 0.3299 0.7158 0.6676
O 0.6701 0.2842 0.3324
O 0.6701 0.7158 0.3324
O 0.7607 0.5000 0.7645
O 0.7745 0.0000 0.7766

Most intense lines, 2θ = 15–90°, by intensity:
2θ = 30.67°, intensity 100; 2θ = 23.30°, intensity 62; 2θ = 24.20°, intensity 51; 2θ = 45.82°, intensity 44; 2θ = 46.82°, intensity 35; 2θ = 33.84°, intensity 31; 2θ = 58.57°, intensity 31; 2θ = 16.74°, intensity 18; 2θ = 78.74°, intensity 14; 2θ = 55.46°, intensity 14


No. 1
The following is a computed powder XRD pattern of Rb2DyVF6. It was derived from DFT lattice parameters and positions (GGA+U), using λ = 1.5418 Å (Cu Kα).

Structural model:
```
Rb2DyVF6
1.0
-3.045 3.057 5.404
3.045 -3.057 5.404
3.045 3.057 -5.404
Rb Dy V F
2 1 1 6
direct
0.248 0.248 0.000
0.752 0.752 0.000
0.500 0.000 0.500
0.000 0.500 0.500
0.247 0.253 0.500
0.247 0.747 0.994
0.299 0.799 0.500
0.701 0.201 0.500
0.753 0.253 0.006
0.753 0.747 0.500
```

Principal peaks in the range 10° ≤ 2θ ≤ 90°, by angle:
| two_theta | I/Imax |
| --- | --- |
| 16.7 | 34 |
| 26.4 | 100 |
| 29.2 | 19 |
| 29.3 | 18 |
| 33.2 | 26 |
| 41.9 | 29 |
| 44.8 | 20 |
| 54.4 | 23 |



No. 2
The following is a computed powder XRD pattern of HgMoIO4. It was derived from DFT lattice parameters and positions (GGA+U), using λ = 1.5418 Å (Cu Kα).

Structural model:
```
HgMoIO4
1.0
6.285 -3.128 0.000
6.285 3.128 0.000
-2.323 0.000 7.331
Hg Mo I O
2 2 2 8
direct
0.183 0.183 0.253
0.817 0.817 0.747
0.113 0.113 0.700
0.887 0.887 0.300
0.452 0.452 0.820
........
Return the data further above character by character.
This entry pairs a crystal structure of Ac2ScWO8 with its computed XRD peak list. Radiation: Cu Ka. Structure: a DFT-relaxed cell (PBE+U, Alexandria).
Intensities are scaled so that the largest is 100.

Structural model:
a = 5.3007 Å, b = 6.9815 Å, c = 5.3010 Å
α = 90.00°, β = 92.14°, γ = 90.00°
Fractional coordinates of all 12 atoms:
Ac 0.0000 0.2503 0.0000
Ac 0.0000 0.7497 0.0000
Sc 0.5000 0.0000 0.5000
W 0.5000 0.5000 0.5000
O 0.2255 0.0000 0.2234
O 0.2393 0.5000 0.2355
O 0.3299 0.2842 0.6676
O 0.3299 0.7158 0.6676
O 0.6701 0.2842 0.3324
O 0.6701 0.7158 0.3324
O 0.7607 0.5000 0.7645
O 0.7745 0.0000 0.7766

Most intense lines, 2θ = 15–90°, by intensity:
2θ = 30.67°, intensity 100; 2θ = 23.30°, intensity 62; 2θ = 24.20°, intensity 51; 2θ = 45.82°, intensity 44; 2θ = 46.82°, intensity 35; 2θ = 33.84°, intensity 31; 2θ = 58.57°, intensity 31; 2θ = 16.74°, intensity 18; 2θ = 78.74°, intensity 14; 2θ = 55.46°, intensity 14


No. 1
The following is a computed powder XRD pattern of Rb2DyVF6. It was derived from DFT lattice parameters and positions (GGA+U), using λ = 1.5418 Å (Cu Kα).

Structural model:
```
Rb2DyVF6
1.0
-3.045 3.057 5.404
3.045 -3.057 5.404
3.045 3.057 -5.404
Rb Dy V F
2 1 1 6
direct
0.248 0.248 0.000
0.752 0.752 0.000
0.500 0.000 0.500
0.000 0.500 0.500
0.247 0.253 0.500
0.247 0.747 0.994
0.299 0.799 0.500
0.701 0.201 0.500
0.753 0.253 0.006
0.753 0.747 0.500
```

Principal peaks in the range 10° ≤ 2θ ≤ 90°, by angle:
| two_theta | I/Imax |
| --- | --- |
| 16.7 | 34 |
| 26.4 | 100 |
| 29.2 | 19 |
| 29.3 | 18 |
| 33.2 | 26 |
| 41.9 | 29 |
| 44.8 | 20 |
| 54.4 | 23 |



No. 2
The following is a computed powder XRD pattern of HgMoIO4. It was derived from DFT lattice parameters and positions (GGA+U), using λ = 1.5418 Å (Cu Kα).

Structural model:
```
HgMoIO4
1.0
6.285 -3.128 0.000
6.285 3.128 0.000
-2.323 0.000 7.331
Hg Mo I O
2 2 2 8
direct
0.183 0.183 0.253
0.817 0.817 0.747
0.113 0.113 0.700
0.887 0.887 0.300
0.452 0.452 0.820